-- Data --
{"formula": "C4H7NS", "method": "wB97M-V/def2-TZVPD", "e_lumo_ev": 0.59, "energy_ev": -16582.744, "de_lowest_kcal_mol": 96.56, "molar_mass_g_mol": 101.17, "multiplicity": 1, "homo_ev": -7.662, "elements": ["C", "C", "C", "C", "N", "S", "H", "H", "H", "H", "H", "H", "H"], "xyz": [[0.40593, 0.81327, 0.13848], [-0.68835, 1.23141, -0.55805], [-1.71846, 1.56592, -1.27109], [0.18540, -1.56193, 0.01116], [0.95155, -0.40785, 0.46066], [2.34965, -0.82191, 1.45252], [1.07013, 1.56945, 0.55394], [-1.91975, 1.36997, -2.28640], [2.13114, -0.09961, 2.68089], [-2.43306, 1.99187, -0.54523], [0.12401, -1.44557, -1.18159], [0.49582, -2.56412, 0.29992], [-0.95399, -1.64089, 0.24479]], "lowdin_charge": [-0.217, -0.100, -0.016, -0.194, -0.582, 0.738, 0.097, 0.041, -0.103, 0.066, 0.121, 0.048, 0.100]}

-- What to do --
What is needed: repeat the whole of the contents earlier on without additions.

-- Reply --
{"formula": "C4H7NS", "method": "wB97M-V/def2-TZVPD", "e_lumo_ev": 0.59, "energy_ev": -16582.744, "de_lowest_kcal_mol": 96.56, "molar_mass_g_mol": 101.17, "multiplicity": 1, "homo_ev": -7.662, "elements": ["C", "C", "C", "C", "N", "S", "H", "H", "H", "H", "H", "H", "H"], "xyz": [[0.40593, 0.81327, 0.13848], [-0.68835, 1.23141, -0.55805], [-1.71846, 1.56592, -1.27109], [0.18540, -1.56193, 0.01116], [0.95155, -0.40785, 0.46066], [2.34965, -0.82191, 1.45252], [1.07013, 1.56945, 0.55394], [-1.91975, 1.36997, -2.28640], [2.13114, -0.09961, 2.68089], [-2.43306, 1.99187, -0.54523], [0.12401, -1.44557, -1.18159], [0.49582, -2.56412, 0.29992], [-0.95399, -1.64089, 0.24479]], "lowdin_charge": [-0.217, -0.100, -0.016, -0.194, -0.582, 0.738, 0.097, 0.041, -0.103, 0.066, 0.121, 0.048, 0.100]}